- - -
# 1
The following is a theoretical XRD peak list of KRe2BiO8. It was derived from a crystal structure in Alexandria, relaxed with GGA-PBE, using Cu Kα (λ = 1.5418 Å).
No peak broadening, texture or thermal motion is included.

Principal peaks in the range 2θ = 10–90°, sorted by position:
2θ = 20.46°, intensity 100
2θ = 28.05°, intensity 45
2θ = 30.09°, intensity 44
2θ = 41.60°, intensity 22
2θ = 48.14°, intensity 21
2θ = 52.20°, intensity 16

Atomic structure:
a = 5.939 Å, b = 5.939 Å, c = 8.098 Å
α = 90.00°, β = 90.00°, γ = 120.00°
Fractional coordinates of all 12 atoms:
K 0.000 0.000 0.000
Re 0.333 0.667 0.785
Re 0.667 0.333 0.215
Bi 0.000 0.000 0.500
O 0.168 0.338 0.710
O 0.171 0.832 0.710
O 0.333 0.667 0.002
O 0.338 0.171 0.290
O 0.662 0.829 0.710
O 0.667 0.333 0.998
O 0.829 0.168 0.290
O 0.832 0.662 0.290


# 2
The following is a theoretical XRD peak list of KBiRhO6. It was derived from a crystal structure in Alexandria, relaxed with GGA-PBE, using Cu Kα (λ = 1.5418 Å).
No peak broadening, texture or thermal motion is included.

Principal peaks in the range 2θ = 10–90°, sorted by position:
2θ = 14.75°, intensity 99
2θ = 18.62°, intensity 41
2θ = 23.84°, intensity 100
2θ = 32.55°, intensity 45
2θ = 35.90°, intensity 51
2θ = 44.67°, intensity 58

Atomic structure:
a = 5.502 Å, b = 5.502 Å, c = 6.006 Å
α = 90.00°, β = 90.00°, γ = 120.00°
Fractional coordinates of all 9 atoms:
K 0.000 0.000 0.000
Bi 0.333 0.667 0.500
Rh 0.667 0.333 0.500
O 0.397 0.029 0.691
O 0.397 0.368 0.309
O 0.632 0.029 0.309
O 0.632 0.603 0.691
O 0.971 0.368 0.691
O 0.971 0.603 0.309


# 3
The following is a theoretical XRD peak list of K3Bi3RuO8. It was derived from a crystal structure in Alexandria, relaxed with GGA-PBE, using Cu Kα (λ = 1.5418 Å).
No peak broadening, texture or thermal motion is included.

Principal peaks in the range 2θ = 10–90°, sorted by position:
2θ = 14.06°, intensity 100
2θ = 28.33°, intensity 26
2θ = 29.88°, intensity 41
2θ = 31.01°, intensity 57
2θ = 35.20°, intensity 72
2θ = 48.90°, intensity 25

Atomic structure:
a = 6.997 Å, b = 6.997 Å, c = 7.485 Å
α = 117.89°, β = 117.89°, γ = 59.92°
Fractional coordinates of all 15 atoms:
K 0.000 0.000 0.000
K 0.000 0.500 0.000
K 0.500 0.000 0.000
Bi 0.000 0.500 0.500
Bi 0.500 0.000 0.500
Bi 0.500 0.500 0.500
Ru 0.000 0.000 0.500
O 0.205 0.205 0.676
O 0.205 0.766 0.675
O 0.234 0.795 0.325
O 0.265 0.265 0.294
O 0.735 0.735 0.706
O 0.766 0.205 0.675
O 0.795 0.234 0.325
O 0.795 0.795 0.324


# 4
The following is a theoretical XRD peak list of KSrBi2O6. It was derived from a crystal structure in Alexandria, relaxed with GGA-PBE, using Cu Kα (λ = 1.5418 Å).
No peak broadening, texture or thermal motion is included.

Principal peaks in the range 2θ = 10–90°, sorted by position:
2θ = 20.35°, intensity 24
2θ = 20.94°, intensity 43
2θ = 29.36°, intensity 100
2θ = 29.79°, intensity 54
2θ = 42.63°, intensity 27
2θ = 52.61°, intensity 46

Atomic structure:
a = 6.086 Å, b = 6.086 Å, c = 6.086 Å
α = 120.95°, β = 120.95°, γ = 88.37°
Fractional coordinates of all 10 atoms:
K 0.000 0.000 0.000
Sr 0.500 0.500 0.000
Bi 0.250 0.750 0.500
Bi 0.750 0.250 0.500
O 0.000 0.500 0.500
O 0.076 0.457 0.000
O 0.457 0.076 0.000
O 0.500 0.000 0.500
O 0.543 0.543 0.619
O 0.924 0.924 0.381


# 5
The following is a theoretical XRD peak list of K3SrBi2O6. It was derived from a crystal structure in Alexandria, relaxed with GGA-PBE, using Cu Kα (λ = 1.5418 Å).
No peak broadening, texture or thermal motion is included.

Principal peaks in the range 2θ = 10–90°, sorted by position:
2θ = 14.10°, intensity 87
2θ = 28.42°, intensity 31
2θ = 28.76°, intensity 43
2θ = 29.93°, intensity 76
2θ = 34.26°, intensity 100
2θ = 50.20°, intensity 32

Atomic structure:
a = 6.295 Å, b = 6.295 Å, c = 6.625 Å
α = 99.15°, β = 99.15°, γ = 120.00°
Fractional coordinates of all 12 atoms:
K 0.000 0.000 0.000
K 0.334 0.666 0.000
K 0.666 0.334 0.000
Sr 0.500 0.500 0.500
Bi 0.167 0.833 0.500
Bi 0.833 0.167 0.500
O 0.079 0.434 0.303
O 0.211 0.211 0.698
- - -
What is needed: count the lines above that contain the word "Re" and give the number alone.
2